I’ve spent a good amount of time learning why Agile-inspired patterns “work” — mostly the “hard way” (doing), but also through individual study, group study, conference going, participating in the community, and learning what most decidedly does not work.
But it dawned on me recently that to any sane person — without lots of practice doing this stuff in real world settings and seeing it work — Agile makes no sense. Pair? Are you kidding me? Mob? OK, now you’re truly crazy. Release a crappy but usable version of the product in a week? Why? Figure out a near term goal and go — without lots of documentation and planning? That’s insane. Invite customers into the process? They’ll freak out! Let teams self-manage, self-organize, and decide where to focus continuous improvement efforts? Is this Lord of the Flies? Team goals, not individual goals? Are you a socialist? On and on.
If it made sense, everyone would be doing it, right?
We assume this stuff is obvious and intuitive. It isn’t, unless you’re talking vague high-level/nod-worthy ideas. Take phrases like “Individuals and interactions over processes and tools” and “Make safety a prerequisite”. Both sound reasonable — awesome even — but one person’s lightweight process and “open culture”, is another person’s bureaucracy and culture of fear/intimidation. So you have the challenge of slippery big words.
Agile doesn’t feel intuitive in many settings because Agile is, I believe, focused on sustainability and long-term viability (“Agile processes promote sustainable development. The sponsors, developers, and users should be able to maintain a constant pace indefinitely”). The benefits are not immediate, and in the short term you’ll likely experience some discomfort and dissonance. A focus on quality, for example, truly pays off when the product becomes insanely complex and you can keep innovating. Shipping tiny increments pays off when the customer is extremely satisfied with the end-result (due to learning and pivoting), not when the customer tries the paired down minimalist version after sprint one and gives feedback. If short-termism is your thing (and to most humans it is), a deep focus on Agile isn’t your best hammer (but some blind sprinting may be).
Even when you talk details, there’s just too much of a void in terms of shared understanding (and a dash of cognitive dissonance). I remember mentioning to a friend that I had worked in a company with maybe one minor production issue every quarter/6 months, AND a very successful product. That simply did not jive and true-up with their decade of experience. Something had to explain it: different domains, engineers-they-couldn’t-afford, different technologies, a winning product strategy involving justified cut corners (that eventually tanked), etc. We were literally at a impasse. For many, Agile is doing sprints and using Jira. So, they’re already “doing” it. This other stuff is some sort of fringe cult that only works in blog posts.
**Attached: calculated crystals**
┌──
1.
Starting from the PBE geometry in Alexandria, the X-ray powder pattern of Tb4ScSe7 was computed for a wavelength of 1.5418 Å.
Kinematic intensities with the Lorentz-polarization factor, no thermal factor.

Structure:
Cell lengths 13.249, 3.952, 12.110 Å; angles 90.00, 104.61, 90.00 degrees
Space group Cm (No. 8)
Unique sites:
Tb  0.000  0.000  0.000
Tb  0.087  0.500  0.375
Tb  0.189  0.000  0.763
Tb  0.387  0.500  0.568
Sc  0.276  0.500  0.148
Se  0.048  0.500  0.621
Se  0.133  0.500  0.930
Se  0.156  0.000  0.218
Se  0.226  0.000  0.519
Se  0.351  0.500  0.787
Se  0.382  0.000  0.076
Se  0.423  0.500  0.347

Largest 8 diffraction maxima, sorted by position, 2θ = 10–90°:
h k l, 2theta, d/Å, I (rel.)
2 0 2, 23.00, 3.866, 83
2 0 -3, 23.51, 3.784, 91
3 1 -1, 30.45, 2.935, 83
3 1 0, 30.81, 2.902, 86
3 1 -2, 31.99, 2.798, 98
3 1 1, 33.05, 2.710, 100
1 1 4, 40.34, 2.236, 70
0 2 0, 45.92, 1.976, 68



2.
Starting from the PBE geometry in Alexandria, the X-ray powder pattern of AcTlAs2O8 was computed for a wavelength of 1.5418 Å.
Kinematic intensities with the Lorentz-polarization factor, no thermal factor.

Structure:
Cell lengths 7.564, 7.564, 6.522 Å; angles 90.00, 90.00, 90.00 degrees
Space group I-4m2 (No. 119)
Unique sites:
Ac  0.000  0.000  0.000
Tl  0.000  0.500  0.250
As  0.000  0.000  0.500
As  0.000  0.500  0.750
O  0.000  0.178  0.334
O  0.000  0.330  0.927

Largest 8 diffraction maxima, sorted by position, 2θ = 10–90°:
h k l, 2theta, d/Å, I (rel.)
1 0 1, 17.96, 4.940, 30
2 0 0, 23.52, 3.782, 100
1 1 2, 32.15, 2.784, 72
2 2 0, 33.51, 2.674, 27
3 1 2, 47.12, 1.929, 61
4 2 0, 54.23, 1.691, 16
3 3 2, 59.05, 1.564, 18
5 1 2, 69.63, 1.350, 16

~~~~~

[1]
Starting from DFT lattice parameters and positions (PBE), the powder diffractogram of Tb6GeP3S2 was calculated for Cu Kα (weighted mean of Kα1 and Kα2).

Most intense lines, 5 to 70 degrees two-theta, in order of rising 2θ:
2θ (°), intensity
27.08, 35
27.19, 34
31.43, 100
44.91, 12
45.05, 49
45.18, 12
53.30, 14
53.43, 14
56.08, 13
65.61, 12

Cell and atoms:
Cell lengths 17.541, 4.013, 8.073 Å; angles 90.00, 103.24, 90.00 degrees
Space group C2/m (No. 12)
Asymmetric unit:
Tb (0.000, 0.000, 0.246) (multiplicity 4)
Tb (0.165, 0.500, 0.089) (multiplicity 4)
Tb (0.168, 0.500, 0.579) (multiplicity 4)
Ge (0.000, 0.500, 0.500) (multiplicity 2)
P (0.000, 0.500, 0.000) (multiplicity 2)
P (0.168, 0.000, 0.332) (multiplicity 4)
S (0.169, 0.000, 0.838) (multiplicity 4)

---

[2]
Starting from DFT lattice parameters and positions (PBE), the powder diffractogram of Dy12Ho7Sc was calculated for Cu Kα (weighted mean of Kα1 and Kα2).

Most intense lines, 5 to 70 degrees two-theta, in order of rising 2θ:
2θ (°), intensity
27.60, 20
27.82, 28
30.00, 26
30.62, 100
31.44, 35
33.40, 36
33.59, 33
40.24, 30
40.73, 25
47.25, 20

Cell and atoms:
Cell lengths 19.2378, 19.2378, 6.0558 Å; angles 90.00, 90.00, 120.00 degrees
Space group R-3 (No. 148, hexagonal axes)
Asymmetric unit:
└──
**So much for the calculated crystals**
Next, you have a bucketload of cognitive biases and intuition traps like the impact of high resource utilization, the cost of queues, the differences between manufacturing and knowledge work, etc. (see Don Reinertsen’s The Principles of Product Development Flow for a non-dogmatic summary of traps). Hint: even when people read this book they’ll know more theory, but be missing a ton of context.
Unrelated to this piece: data records
____________
Entry 1:
BeAlSn: calculated powder diffractogram (CuKα), based on a DFT-relaxed cell (PBE, Alexandria).
Neutral-atom scattering factors, no anomalous dispersion.

Atomic structure:
Unit cell a=3.983 b=4.457 c=6.278 alpha=90.00 beta=101.63 gamma=90.00
Positions (direct):
Be (0.000, 0.000, 0.000)
Be (0.000, 0.500, 0.000)
Al (0.455, 0.250, 0.861)
Al (0.545, 0.750, 0.139)
Sn (0.203, 0.250, 0.394)
Sn (0.797, 0.750, 0.606)

Peak list (10 most intense, 10 to 80 degrees two-theta, by angle)
14.40°, I 88; 24.67°, I 32; 29.48°, I 39; 30.45°, I 100; 31.72°, I 97; 33.27°, I 27; 35.47°, I 92; 40.47°, I 31; 40.87°, I 29; 45.88°, I 26

Entry 2:
InHAu: calculated powder diffractogram (CuKα), based on a DFT-relaxed cell (PBE, Alexandria).
Neutral-atom scattering factors, no anomalous dispersion.

Atomic structure:
Unit cell a=3.987 b=3.987 c=8.948 alpha=102.50 beta=102.50 gamma=90.07
Positions (direct):
In (0.173, 0.173, 0.345)
In (0.827, 0.827, 0.655)
H (0.478, 0.478, 0.954)
H (0.522, 0.522, 0.046)
Au (0.343, 0.343, 0.686)
Au (0.657, 0.657, 0.314)

Peak list (10 most intense, 10 to 80 degrees two-theta, by angle)
10.38°, I 100; 20.86°, I 34; 31.51°, I 35; 31.74°, I 77; 33.45°, I 20; 38.27°, I 15; 45.32°, I 26; 45.52°, I 41; 56.21°, I 14; 56.58°, I 13

Entry 3:
PmPu5Te8: calculated powder diffractogram (CuKα), based on a DFT-relaxed cell (PBE, Alexandria).
Neutral-atom scattering factors, no anomalous dispersion.

Atomic structure:
Unit cell a=8.126 b=8.147 c=8.151 alpha=109.47 beta=109.40 gamma=109.34
Positions (direct):
Pm (0.000, 0.000, 0.000)
Pu (0.249, 0.124, 0.625)
Pu (0.376, 0.623, 0.499)
Pu (0.502, 0.876, 0.126)
Pu (0.750, 0.500, 0.250)
Pu (0.876, 0.375, 0.752)
Te (0.126, 0.748, 0.724)
Te (0.126, 0.749, 0.225)
Te (0.278, 0.401, 0.026)
Te (0.475, 0.250, 0.376)
Te (0.624, 0.599, 0.876)
Te (0.625, 0.098, 0.876)
Te (0.776, 0.899, 0.525)
Te (0.975, 0.252, 0.377)

Peak list (10 most intense, 10 to 80 degrees two-theta, by angle)
23.14°, I 19; 30.03°, I 100; 35.66°, I 37; 35.76°, I 32; 42.96°, I 17; 43.06°, I 8; 49.31°, I 8; 60.66°, I 17; 60.76°, I 7; 73.98°, I 8

Entry 4:
CdInIr: calculated powder diffractogram (CuKα), based on a DFT-relaxed cell (PBE, Alexandria).
Neutral-atom scattering factors, no anomalous dispersion.

Atomic structure:
Unit cell a=4.669 b=4.669 c=6.006 alpha=90.00 beta=90.00 gamma=90.00
Positions (direct):
Cd (0.000, 0.500, 0.000)
Cd (0.500, 0.000, 0.500)
In (0.000, 0.500, 0.500)
In (0.500, 0.000, 0.000)
Ir (0.000, 0.000, 0.250)
Ir (0.000, 0.000, 0.750)

Peak list (10 most intense, 10 to 80 degrees two-theta, by angle)
19.01°, I 69; 35.55°, I 29; 38.57°, I 58; 40.61°, I 100; 43.34°, I 17; 53.45°, I 18; 55.69°, I 20; 61.79°, I 7; 71.17°, I 37; 75.25°, I 16

Entry 5:
K3Hg2Cl7: calculated powder diffractogram (CuKα), based on a DFT-relaxed cell (PBE, Alexandria).
Neutral-atom scattering factors, no anomalous dispersion.

Atomic structure:
Unit cell a=13.433 b=13.433 c=13.433 alpha=156.80 beta=156.80 gamma=33.04
Positions (direct):
____________
Finally, there’s the challenge of whole-org agility. Astute observers quickly realize that agility on the team level is but one part of the puzzle. Even when Agile on the team-level makes sense, you need that other part to make sense. The rest of the org was probably the blocker in the first place.
Once you come to grips with the idea that Agile makes no sense, you can start doing a better job of advocating for experimenting with well known Agile patterns. The first step is taking off your Evangelist hat. There’s no sense in evangelizing stuff that makes no sense…you’ll be called a Heretic (and we know what happens to heretics). Same with being an Acolyte. People don’t trust followers of things that don’t make sense. Don’t mention what worked at another company…because “it won’t work here” (and it comes off as standoffish and elitist). Most importantly: flip your perspective from “I’m the one in the know here…they just don’t get it” to “this doesn’t make sense…this is on me.”
What can you do?
(These calculated crystals were left in the text by mistake)
********
For Na4MnO4, a crystal structure in Alexandria, relaxed with GGA+U gives the calculated PXRD pattern in this record (Cu Kα, 1.54184 Å).
Peak positions follow from Bragg's law for the DFT cell and can differ from measured ones.

Peak list (10 most intense, 2θ from 10° to 90°, most intense first)
Position (°2θ)  I/Imax
18.08  100
31.63  98
18.22  79
21.00  69
34.44  62
32.22  56
38.32  55
19.57  51
24.02  47
44.13  45

Structure:
Cell: 6.381 5.652 9.889 Å, 90.00 129.76 90.00°
Space group Pc (No. 7)
Symmetry-distinct sites (fractional):
Na1 0.000 0.114 0.000 [2 per cell]
Na2 0.323 0.308 0.559 [2 per cell]
Na3 0.554 0.300 0.334 [2 per cell]
Na4 0.828 0.379 0.148 [2 per cell]
Mn1 0.274 0.182 0.828 [2 per cell]
O1 0.199 0.129 0.307 [2 per cell]
O2 0.372 0.299 0.036 [2 per cell]
O3 0.576 0.259 0.858 [2 per cell]
O4 0.991 0.273 0.601 [2 per cell]

----------

(1)
Simulated XRD peak list
Compound: Ba2LaIrO6
Radiation: Cu Ka
Structure: a structure optimized by DFT (PBE)
Neutral-atom scattering factors, no anomalous dispersion.

Most intense lines, 2θ from 10° to 90°, in order of rising 2θ:
d_spacing  Rel. int.
4.997  3.0
4.327  3.8
3.060  100.0
2.164  28.2
1.935  1.5
1.767  40.8
1.530  17.9
1.368  18.5
1.249  5.9
1.157  21.9

abc: 6.1197 6.1197 6.1197
angles: 60.00 60.00 60.00
Fractional coordinates of all 10 atoms:
Ba (0.2500, 0.2500, 0.2500)
Ba (0.7500, 0.7500, 0.7500)
La (0.0000, 0.0000, 0.0000)
Ir (0.5000, 0.5000, 0.5000)
O (0.2707, 0.2707, 0.7293)
O (0.2707, 0.7293, 0.2707)
O (0.2707, 0.7293, 0.7293)
O (0.7293, 0.2707, 0.2707)
O (0.7293, 0.2707, 0.7293)
O (0.7293, 0.7293, 0.2707)

(2)
Simulated XRD peak list
Compound: K2TcC2S4NO4
Radiation: Cu Ka
Structure: a structure optimized by DFT (PBE)
Neutral-atom scattering factors, no anomalous dispersion.

Most intense lines, 2θ from 10° to 90°, in order of rising 2θ:
d_spacing  Rel. int.
6.150  100.0
5.872  94.5
4.778  36.4
4.629  28.2
4.456  44.6
3.949  27.0
3.534  37.3
3.184  35.2
2.894  52.5
2.748  86.3

abc: 7.9058 16.4335 11.8939
angles: 90.00 128.88 90.00
Fractional coordinates of all 56 atoms:
K (0.1459, 0.1814, 0.4113)
K (0.1459, 0.3186, 0.9113)
K (0.1523, 0.0449, 0.8697)
K (0.1523, 0.4551, 0.3697)
K (0.8477, 0.5449, 0.6303)
K (0.8477, 0.9551, 0.1303)
K (0.8541, 0.6814, 0.0887)
K (0.8541, 0.8186, 0.5887)
Tc (0.4954, 0.1842, 0.2463)
Tc (0.4954, 0.3158, 0.7463)
Tc (0.5046, 0.6842, 0.2537)
Tc (0.5046, 0.8158, 0.7537)
C (0.4712, 0.6442, 0.6387)
C (0.4712, 0.8558, 0.1387)
C (0.4725, 0.5087, 0.1528)
C (0.4725, 0.9913, 0.6528)
C (0.5275, 0.0087, 0.3472)
C (0.5275, 0.4913, 0.8472)
C (0.5288, 0.1442, 0.8613)
C (0.5288, 0.3558, 0.3613)
S (0.2472, 0.5786, 0.1036)
S (0.2472, 0.9214, 0.6036)
S (0.2506, 0.7134, 0.5871)
S (0.2506, 0.7866, 0.0871)
S (0.2968, 0.2087, 0.7560)
S (0.2968, 0.2913, 0.2560)
S (0.2983, 0.0750, 0.2489)
S (0.2983, 0.4250, 0.7489)
S (0.7017, 0.5750, 0.2511)
S (0.7017, 0.9250, 0.7511)
S (0.7032, 0.7087, 0.7440)
S (0.7032, 0.7913, 0.2440)
S (0.7494, 0.2134, 0.9129)
S (0.7494, 0.2866, 0.4129)
********
(The calculated crystals stop here)
What is the smallest thing that could add value (and make sense)? A better standup? A better retrospective? Inviting a customer to a demo? Pairing for a day? Agreeing to get something into product in a couple days? Try that. Make one thing make sense as in “wow, I can see how that created value”.
When you take this humble approach — instead of “installing” a bunch of artifacts, tools, roles, and rituals AKA doing Agile — I think you’re embracing the true spirit of Agile.